Windows 7 multitouch - windows-7

I know this is not a direct programming question (which StackExchange site would fit better?) I just ask it here as I'm not sure where to post it alternatively.
Has the driver for multi-touch on Windows 7 a specific name? Windows 7 has multi-touch support if the hardware sends specific messages and they get translated to their W7 equivalent. How is the driver sub-system named? I think it's in the context of HID devices, but is there something more explicit? I should explain it to someone and I never thought about the name of that software.

I have described it as a driver for windows 7 and not named it specifically. Found out that there is no need to name it exactly. Hearing it is a vendor provided driver was just enough information for the audience.


Bluetooth AVRCP control from Windows

I'm trying to implement an AVRCP/A2DP connection between my Android phone and my car PC. The A2DP bit basically works out of the box so no issue there. I want the PC to be the AVRCP CT (controller) and the A2DP sink. The phone is the AVRCP TG (target) and the A2DP source.
Where I'm having trouble is getting any sort of AVRCP connection that I can use. Windows 7 comes with a toolbar application that at least provides the basic play/pause/skip/stop type functions. So it definitely works with the software I have without any extra drivers or otherwise. However my searching has produced little results on any way to do this or documentation on creating an L2CAP connection which I believe I need.
The 32feet.NET libraries don't support L2CAP connections unless you use a Broadcom/Widcomm stack. Buying a new BT USB device may be a viable solution but at the moment I'm trying to do this all in software :). i.e. like this although there a problems noted there that weren't solve (or reported as solved)
link: How can I establish an AVRCP connection from Windows 7 (controller) to phone (target) using L2CAP on Widcomm SDK?
I'd prefer to do it C# if possible but if I had some kind of library to interface with my code, that would be fine (like the 32feet.NET library which works quite well for the things it does work on.)
This is about the closest I've got but is all a bit Greek to me and not quite enough to get me started (I'm an embedded guy):
Is Bluetooth really such a mess on Windows that it seems to be from my searching? There are multiple different stacks that all seem to be significantly different in terms of the API etc.
Can anyone point me in the right direction? I've done a lot of searching/reading other posts here and elsewhere and not really made any progress.

Force driver installation in spite of undue ERROR_NON_WINDOWS_NT_DRIVER

**Attached: quantum chemistry results**
+++
Entry 1:
Computed, not measured: a cluster of 2 separate species, C3H5O3 in total at a distorted geometry, with ωB97M-V with the def2-TZVPD basis set.

Summary:
Energy, eV: -9325.5432
Net charge: +1
Lowest unoccupied orbital energy, hartree: -0.216
Frontier orbital gap, eV: 11.28
HOMO, eV: -17.162
Energy relative to the best compared isomer or geometry (same formula, charge and spin), kJ/mol: 0.0

```
11
Properties=species:S:1:pos:R:3:mulliken_charge:R:1
O -0.83 -0.62 0.49 -0.095
O 3.91 0.63 0.14 -0.336
O 1.55 0.14 -0.02 -0.448
C -1.51 0.65 0.51 -0.523
C -0.42 -1.06 -0.58 0.174
C 2.74 0.39 0.06 0.764
H -0.84 1.24 1.11 0.248
H -1.69 0.95 -0.52 0.381
H -0.58 -0.56 -1.47 0.264
H 0.04 -2.10 -0.66 0.291
H -2.38 0.33 0.93 0.280
```

***

Entry 2:
Computed, not measured: the ion C3H5O3P with charge -2 at a distorted geometry, with ωB97M-V with the def2-TZVPD basis set.

Summary:
Energy, eV: -18622.2987
Net charge: -2
Lowest unoccupied orbital energy, hartree: 0.242
Frontier orbital gap, eV: 6.11
HOMO, eV: 0.479
Energy relative to the best compared isomer or geometry (same formula, charge and spin), kJ/mol: 73.5

```
12
Properties=species:S:1:pos:R:3:mulliken_charge:R:1
P -2.45 -0.12 0.09 0.767
O -2.30 0.50 -1.25 -0.695
O -2.75 0.72 1.31 -0.730
O -2.87 -1.63 0.12 -0.798
C 0.68 0.43 0.24 0.067
C -0.28 -0.49 0.40 -0.981
C 2.10 0.20 -0.22 -0.839
H 2.58 1.18 -0.59 0.219
H 0.32 1.39 0.35 0.368
H 2.87 -0.17 0.54 0.170
H 1.95 -0.57 -1.10 0.236
H 0.15 -1.44 0.11 0.216
```

***

Entry 3:
Computed, not measured: a structure of composition C3H5O4Tl at a distorted geometry, with ωB97M-V with the def2-TZVPD basis set.

Summary:
Energy, eV: -16076.0616
Net charge: -1
Multiplicity: 2
⟨S²⟩: 0.75
Lowest unoccupied orbital energy (alpha / beta), hartree: 0.115 / 0.112
Frontier orbital gap (alpha / beta), eV: 6.02 / 7.79
HOMO (alpha / beta), eV: -2.896 / -4.729
Energy relative to the best compared isomer or geometry (same formula, charge and spin), kJ/mol: 0.0

```
13
Properties=species:S:1:pos:R:3:mulliken_spin:R:1
Tl -3.82 0.26 4.07 0.022
O -2.44 2.11 6.45 0.020
O -1.77 0.68 4.87 -0.004
O -0.39 1.28 6.52 0.008
O -5.38 1.88 4.39 0.211
C -4.63 4.09 3.77 -0.033
C -5.01 3.08 4.82 0.645
C -1.46 1.37 5.89 0.028
H -3.73 3.75 3.22 0.029
H -5.58 3.47 5.69 0.035
H -4.42 5.07 4.23 -0.005
H -3.21 2.57 5.82 0.020
H -5.42 4.21 3.01 0.025
```

***

Entry 4:
Computed, not measured: a structure of composition C3H5O4Zn at a distorted geometry, with ωB97M-V with the def2-TZVPD basis set.

Summary:
Energy, eV: -59789.0887
Net charge: +1
Lowest unoccupied orbital energy, hartree: -0.273
Frontier orbital gap, eV: 6.91
HOMO, eV: -14.338
Energy relative to the best compared isomer or geometry (same formula, charge and spin), kJ/mol: 257.6

```
13
Properties=species:S:1:pos:R:3:mulliken_charge:R:1
Zn 0.71 -1.52 -1.39 0.760
O -0.51 -0.73 0.15 -0.471
O -2.32 -1.68 -0.69 -0.471
O 2.12 -0.60 -0.70 -0.494
O -1.96 0.51 -0.76 -0.402
C 1.83 0.17 0.38 0.012
C 0.37 0.57 0.50 -0.399
+++

Installation of a device Driver on Windows 8 Fails with the following error:
0xe000022d -536870355 ERROR_NON_WINDOWS_NT_DRIVER
The decimal number was what I found in the error log (C:\Intel\Logs\IntelGFX.log), and a web search turned up the error Symbol Name.
As I downloaded the Driver straight from Intel (IntelĀ® Graphics Media Accelerator Driver for Windows* XP), I do believe that it is an NT Driver. Just not for Win7 or Win8, but for XP and possibly adapted for Vista.
The device in question doesn't do Aero, but I don't Need Aero, so turned it off. I would, however, love to have the native Resolution and Hardware acceleration. Which is why I would love this Installation to succeed.
My assumption is that the Driver Installation Routine (the Intel Driver Setup program) interacts with the operating System in some ways in order to determine how exactly to install the Driver, and by way of prudence it barfs at the first sights of Errors; so that in theory a user who deems he knows better should be able to force the Installation. (It's only a preview System with no real data or functionality at the Moment, so why not Play around a Little.)
(1) Any idea what this error really means?
(2) Any way to Bypass the regular Driver Installation? Sort of force-install the Driver?
(3) Pointers like "What every programmer Needs to know about device Drivers" are also welcome, as a fallback to #1 and #2.
I found this error code documented in the SetupAPI on the DIF_ALLOW_INSTALL request page, but I know next to nothing about this API.
Okay, Ken's arguing this is not a programming question, and he might have a point. Trouble is: hard for me to make the programming point due to my lack of knowledge in the Driver department. This much I know: The Win32 API allows you to Register code to run when API routines get called. This is called "hook" in programmer lingo, and it's a concept I'm familiar with. The idea would be that you could somehow insert some code between the OS and the Driver Setup Routine to return "all great, go on" instead of ERROR_NON_WINDOWS_NT_DRIVER. But I've never done that at the System/Driver Level.
It is true that this is not a concrete programming question. Way to go for me to get there.
I posted this on stackoverflow because I deemed it too hard for superuser and off-Topic for serverfault. If you could suggest a better Forum that would also be helpful.
Hardware background: The Driver in question is for a 2005 vintage Hardware (Samsung X20 notebook) featuring an Intel 915GM/GMS, 910GML chipset. Not enjoying Hardware Support and falling back on some VGA Driver is obviously somewhat detrimental to the overall user experience.
(I excuse for undue capitalization in this post - this is due to the new spell-checker in IE10 which I haven't managed to disable yet.)

Instrument a Windows 7 Bluetooth stack

### Molecular data, kept here for reference
=====
Below is a single C21H16N2O3S molecule, with properties calculated with ωB97M-V with the def2-TZVPD basis set.

Geometry as XYZ:
```
43
Properties=species:S:1:pos:R:3:forces:R:3:lowdin_charge:R:1
C 5.128 2.458 4.292 0.109 -4.400 -2.726 0.034
C 4.431 1.792 3.251 -0.613 3.599 4.253 -0.070
C 3.014 2.224 2.785 1.811 1.247 1.686 -0.198
C 2.181 3.248 3.343 -0.121 -1.344 -1.552 0.006
C 0.994 3.682 2.727 0.776 1.218 2.495 -0.095
C 0.665 3.191 1.552 -0.867 -3.139 -4.731 -0.239
S -0.970 3.586 0.655 1.377 1.997 -1.402 0.725
O -0.765 3.432 -0.796 -0.464 -1.113 2.604 -0.311
O -1.333 4.952 1.020 -0.044 -1.884 0.768 -0.323
N -2.153 2.502 1.282 0.863 1.213 0.608 -0.072
C -2.021 1.111 0.919 -1.538 3.895 -4.201 -0.344
C -1.914 0.196 1.833 1.577 -7.411 1.794 -0.017
C -1.641 -1.270 1.436 -0.943 1.408 -1.750 0.084
C -1.661 -1.564 0.049 -0.047 2.266 3.600 -0.202
O -1.398 -2.677 -0.701 -0.601 1.311 0.285 0.125
C -1.649 -2.177 -1.952 0.720 -2.489 -2.837 -0.227
C -1.374 -3.231 -3.064 0.017 -0.597 -0.097 -0.061
C -1.342 -2.780 -4.397 0.500 -4.859 1.001 -0.028
C -1.219 -3.687 -5.459 -0.547 -0.816 1.577 -0.046
C -1.093 -5.069 -5.200 -0.245 2.345 -1.599 -0.085
C -1.060 -5.550 -3.937 -0.146 1.548 1.251 -0.104
C -1.193 -4.678 -2.874 -0.906 2.579 1.643 -0.006
N -2.017 -0.940 -2.072 0.473 -2.700 -1.828 0.212
C -2.012 -0.507 -0.795 0.052 1.383 0.311 -0.264
C -2.223 0.813 -0.478 0.753 -1.336 2.082 0.080
C 1.528 2.215 0.947 -1.189 -0.482 -0.114 -0.030
C 2.639 1.680 1.595 -1.163 1.040 -1.682 -0.064
H 4.820 3.300 4.827 -0.841 1.326 0.316 0.017
H 6.067 1.985 4.738 -1.247 0.678 -1.054 0.070
H 4.784 0.867 2.864 0.374 -0.467 -0.382 0.073
H 2.350 3.733 4.240 0.994 0.583 1.788 0.082
H 0.359 4.468 3.140 0.339 -0.195 0.324 0.125
H -2.276 2.716 2.311 0.243 -0.424 -1.606 0.140
H -1.980 0.388 2.885 0.253 0.220 0.294 0.105
H -1.546 -2.157 2.048 0.135 0.609 0.885 0.099
H -1.378 -1.834 -4.668 -0.516 4.570 -0.653 0.060
H -1.436 -3.307 -6.438 0.476 -0.045 -0.503 0.099
H -1.089 -5.700 -6.045 0.114 -0.899 -0.751 0.091
H -1.025 -6.568 -3.742 0.208 -1.757 0.284 0.088
H -1.292 -5.068 -1.839 0.264 0.283 -0.834 0.117
H -2.495 1.446 -1.296 0.082 0.770 0.162 0.121
H 1.311 1.760 -0.019 -0.356 0.495 0.067 0.112
H 3.287 1.018 1.033 -0.113 -0.228 0.228 0.118
```
Forces are in eV/Å.

LUMO energy	-0.048	eV
relative energy (zero: lowest compared OMol25 entry of this formula, charge and spin)	373.82	kJ/mol
total charge	0
E	-1543.12105	hartree
gap between HOMO and LUMO	8.62	eV

---

Below is 2 unconnected molecules or ions with the total composition C3H4O, with properties calculated with ωB97M-V with the def2-TZVPD basis set.

Geometry as XYZ:
```
8
Properties=species:S:1:pos:R:3:forces:R:3:lowdin_charge:R:1
C 0.904 0.464 -0.415 -0.560 -3.273 2.124 0.013
C 0.887 -0.847 -0.124 -1.651 3.153 1.441 0.081
C 0.038 0.110 0.652 -0.998 -2.413 -5.095 -0.009
O -1.836 -0.122 -0.249 3.079 -1.309 1.645 -0.270
H 1.278 1.239 -0.966 0.812 1.661 -1.392 0.078
H 1.069 -1.899 -0.182 0.301 -0.028 -0.351 0.106
=====

I'm working with various (mostly Bluetooth) development boards (ConnectBlue, Ubertooth, USRPs etc.) in order to research about Bluetooth communication behaviour at PHY level. In order to get some more insights I'm looking for a way to debug the Bluetooth stack on a Windows 7 Desktop computer. My use-case is relatively simple: I have custom baseband implementations, which establish connections with the Windows computer. I'd like to see everything the Bluetooth hardware/driver does.
I'm not sure how to approach this: I'd like to see when the Bluetooth Chip/Windows driver receives a Signal, and how it (the message) gets interpreted/formatted/passed through the various APIs concerned. Mostly this relates to kernel debugging.
Is there a way to display the state of the attached hardware in Windows in WinDBG? Maybe to perform (Kernel) API logging on the Bluetooth kernel service?
I hope somebody more familiar with device driver debugging and Windows Kernel services can give me some pointers here.
Since you don't appear to have gotten any hits on this, I'll post what I can.
I don't have any definite answers, but on the NTDebugging blog they often do hardware level debugging in windbg.
To be honest this is going to require extensive knowledge not only of your hardware, but also of the deep internals of windows, and how the bluetooth stack is written, but the WDK would probably be a good place to start for understanding the bluetooth stack. I would also check out the blog for tips and tricks.
The other place to check and ask questions is It's one of the better communities about device drivers, so they should have some reasonable tips on doing what you're trying to do.

Device driver without the device?

I'm creating an application that needs to use some kernel level modules, for which I've divided the app into 2: one user-level program and one kernel level program.
After reading about device drivers and walking through some tutorials, I'm a little confused.
Can there be a device driver without any specific device associated with it? Is there anything other than the device driver (kernel code or something) which works in kernel mode?
How do anti-virus programs and other such applications work in kernel mode? Is device driver the correct way or am I missing something?
Yes, device drivers can work without an actual piece of hardware (i.e. the device) attached to the machine. Just think of the different programs that emulate a connected SCSI drive (CD-ROM, whatever) for mounting ISO images. Or think about TrueCrypt, which emulates (removable) drives using containers, which are nothing more than encrypted files on your hard drive.
A word of warning, though: Driver development requires much more thought and has to be done more carefully, no shortcuts, good testing and in general expects you to know quite a good deal about the Windows driver model. Remember that faulty and poor drivers put the whole system's stability in jeopardy.
Honestly, I don't think reading a tutorial is sufficient here. You might want to at least invest in a decent book on that subject. Just my 2 cents, though.
Sorry, but the Windows Internals book is more of a general reading for the curious. I cannot recommend it if you want to engage in driver development - or at most as prerequisite reading to understand the architecture. There are plenty of other books around, although most of them are a bit older.
Depending on your goal, you may get away with one of the simpler driver models. That is not to say that driver development is trivial - in fact I second all aspects of the warning above and would even go further - but it means that you can save some of the more tedious work, if instead of writing a legacy file system filter you'd write one based on the filter manager. However, Windows XP before SP2 did not have it installed by default and Windows 2000 would require SP4+SRP+patch if I remember correctly. WDF (Windows Driver Foundation) makes writing drivers even easier, but it is not suitable for all needs.
The term device is somewhat of bad choice here. Device has a meaning in drivers as well, and it does not necessarily refer to the hardware device (as pointed out). Roughly there is a distinction between PDOs (physical device objects) and CDOs (control device objects). The latter are usually what you get to see in user mode and what can be accessed by means of CreateFile, ReadFile, WriteFile, DeviceIoControl and friends. CDOs are usually made visible to the Win32 realm by means of symbolic links (not to be confused with the file system entities of the same name). Drive letter assignments like C: are actually symbolic links to an underlying device. It depends on the driver whether that'd be a CDO or PDO. The distinction is more of a conceptual one taught as such in classes.
And that's what I would actually recommend. Take a class about Windows driver development. Having attended two seminars from OSR myself, I can highly recommend it. Those folks know what they're talking about. Oh, and sign up to their mailing lists over at OSR Online.
Use Sysinternals' WinObj to find out more about the device and driver objects and symlinks.
As for the question about AVs, yes they use file system filter drivers (briefly mentioned above). The only alternative to a full-fledged legacy FSFD is a mini-filter.
It is possible to load a special kind of DLL in kernel mode, too. But in general a driver is the way into the kernel mode and well documented as such.
Books you may want to consider (by ISBN): Most importantly "Programming the Windows Driver Model" (0735618038), "Windows NT Device Driver Development" (1578700582), "Windows NT File System Internals" (0976717514 (OSR's new edition)), "Undocumented Windows NT" (0764545698) and "Undocumented Windows 2000 Secrets" (0201721872) - and of course "Windows NT/2000 Native API Reference" (9781578701995) (classic). Although the last three more or less give you a better insight and are not strictly needed as reading for driver developers.
Anti-virus (and system recovery) software generally make use of file-system filter drivers. A device can have multiple filter drivers arranged like a stack, and any event/operation on this device has to pass through all the stacked up drivers. For example, anti-viruses install a filter driver for disk device so that they can intercept and scan all file system (read/write) operation.
As mentioned in above post, going through a good book would be a nice way to start. Also, install DDK/WDK and refer the bundled examples.

Windows XP support for Remote NDIS

~~~
No. 1
10
Properties=species:S:1:pos:R:3 method="wB97M-V/def2-TZVPD" homo_lumo_gap_ha=0.2996 energy_ev=-11350.0942 total_charge=-1 multiplicity=1 e_lumo_ev=3.6 homo_ha=-0.166
C 1.00 -0.47 2.57
C -0.57 -2.16 1.55
C 0.66 -1.88 1.61
O 2.07 0.01 2.26
O 0.12 -0.28 3.38
O -1.75 -2.23 1.49
O -0.54 -0.71 -1.73
H 1.57 -2.32 1.26
H -1.31 -0.18 -2.09
H -0.46 -0.78 -0.83

---

No. 2
192
Properties=species:S:1:pos:R:3 method="wB97M-V/def2-TZVPD" homo_lumo_gap_ha=0.3211 energy_ev=-84354.9471 multiplicity=1 smiles=CC1(C)CCCC(C)(C)N1O.CC1(C)CCCC(C)(C)N1O.CC1(C)CCCC(C)(C)N1O.CC1(C)CCCC(C)(C)N1O.CC1(C)CCCC(C)(C)N1O.CC1(C)CCCC(C)(C)N1O.CC(C)O e_lumo_ev=0.5 homo_ha=-0.303
C -2.59 -18.25 -0.47
C -1.65 -18.34 0.76
C -0.34 -18.95 0.27
C 0.65 -17.97 -0.38
C 0.74 -16.71 0.48
C -0.59 -16.03 0.78
N -1.43 -17.04 1.43
O -2.71 -16.48 1.71
C -0.27 -14.94 1.79
C -1.18 -15.38 -0.49
C -2.29 -19.27 1.77
H -3.08 -19.21 -0.63
H -2.03 -17.99 -1.37
H -3.37 -17.51 -0.33
H 0.16 -19.47 1.09
H -0.54 -19.73 -0.48
H 0.36 -17.77 -1.41
H 1.62 -18.48 -0.39
H 1.52 -16.10 0.02
H 1.21 -17.10 1.38
H 0.49 -14.21 1.52
H -1.14 -14.31 2.04
H 0.09 -15.40 2.72
H -0.48 -15.47 -1.33
H -2.11 -15.85 -0.79
H -1.29 -14.30 -0.41
H -2.56 -20.26 1.41
H -3.20 -18.76 2.12
H -1.65 -19.42 2.64
H -2.67 -16.27 2.66
C 0.38 -18.72 4.56
C 1.76 -18.44 5.15
C 1.60 -17.41 6.28
C 2.92 -17.18 7.00
C 3.48 -18.50 7.52
C 3.50 -19.65 6.53
N 2.24 -19.67 5.78
O 2.28 -20.74 4.85
C 4.76 -19.59 5.65
C 3.54 -20.96 7.33
C 2.61 -17.82 4.03
H 0.36 -19.53 3.82
H -0.21 -17.87 4.21
H -0.28 -19.15 5.33
H 1.23 -16.47 5.86
H 0.86 -17.83 6.97
H 2.86 -16.47 7.83
H 3.64 -16.64 6.36
H 2.87 -18.77 8.40
H 4.47 -18.32 7.95
H 5.57 -20.20 6.07
H 4.56 -20.00 4.66
H 5.16 -18.58 5.56
H 4.13 -20.78 8.24
H 2.56 -21.26 7.70
H 4.06 -21.73 6.76
H 3.65 -17.68 4.31
H 2.26 -16.83 3.75
H 2.61 -18.50 3.17
H 1.55 -21.28 5.18
C -0.50 -24.82 5.61
C -0.74 -23.34 5.34
C -0.22 -22.88 3.99
C -1.01 -23.35 2.79
C -2.47 -22.89 2.99
C -3.13 -23.36 4.30
N -2.17 -23.02 5.34
O -2.72 -23.01 6.65
C -4.41 -22.56 4.46
C -3.43 -24.85 4.17
C 0.03 -22.52 6.37
H -0.75 -25.47 4.77
H -1.08 -25.13 6.48
H 0.54 -25.07 5.89
H -0.16 -21.79 3.93
H 0.82 -23.22 3.86
H -0.97 -24.42 2.58
H -0.63 -22.77 1.94
H -2.96 -23.32 2.11
H -2.55 -21.80 2.93
H -4.23 -21.50 4.62
H -5.02 -22.66 3.56
H -5.00 -22.92 5.30
H -2.64 -25.46 3.76
H -3.69 -25.25 5.16
H -4.31 -25.05 3.56
H -0.28 -22.76 7.39
H -0.15 -21.45 6.21
H 1.08 -22.79 6.27
H -2.97 -22.09 6.78
C 5.43 -26.18 2.53
C 4.54 -26.04 1.29
C 3.08 -26.27 1.59
C 2.37 -25.09 2.31
C 2.70 -23.77 1.64
C 4.19 -23.52 1.30
N 4.64 -24.72 0.61
O 5.95 -24.55 0.06
C 4.20 -22.38 0.30
C 4.95 -23.09 2.56
C 4.99 -27.07 0.25
H 4.98 -25.77 3.43
H 6.39 -25.68 2.41
H 5.66 -27.22 2.74
H 2.54 -26.46 0.66
H 2.98 -27.12 2.26
H 2.61 -25.11 3.37
H 1.30 -25.31 2.19
H 2.47 -22.93 2.31
H 2.08 -23.59 0.77
H 3.77 -21.46 0.71
H 5.24 -22.12 0.06
H 3.69 -22.62 -0.63
H 6.01 -22.98 2.33
H 4.60 -22.10 2.86
H 4.80 -23.72 3.42
H 6.07 -27.17 0.18
H 4.56 -26.83 -0.72
H 4.58 -28.04 0.54
~~~

I'm looking at developing a device which will need to support Ethernet over USB (hosted in Linux, XP, and Vista). As I understand it, Vista and Linux support the industry standard USB CDC. However, in classic Windows style, XP only supports it's own Remote NDIS. So, now I'm thinking of just bowing down and doing it over RNDIS, as opposed to rolling my own CDC driver for XP.
I've been reading some older documentation that says even XP is pretty buggy with NDIS (suprise!). Does anyone have experience with XP's RNDIS drivers? Are they safe for product development? Any insight would be much appreciated.
We use RNDIS at work. and I've found that it blue screens my machine every now and again (about every month or two). However others (at my work) have not had this happen, so it could just be the particular device that I use.
I think it is stable enough for development, so give it a go.
The problem here is that Linux does not support RNDIS in the host mode, and you can't develop custom driver due to MS RNDIS license restrictions. MAC does not support RNDIS as well due to same reason (licensing).
So if you need multiplatform solution you need a standard approach which is CDC/ECM.
There is number of available CDC/ECM XP/VIsta solutions in the market,you can google for them i don't want to advertise our solution here :)
After doing my own research and testing, a single NDIS device works reasonably well. However, if you are at all needing to support multiple NDIS devices, you are out of luck. My system became extremely unstable and was essentially unusable. This was very reproducible.
I would not recommend NDIS in any type of multiple-device scenario.
if you are looking for commercial solution, Jungo does provide decent ECM solutions works for Windows/Linux/Mac. The only problem is that you have to pay them non-trivial royalty fee if you are going for a mass volume product.
